-- File --
********
#P
DFT (GGA-PBE) results for a relaxed Y3PaN4 crystal.

The structure belongs to space group Cmmm (No. 65); the cell edges are 6.9687, 9.8070 and 3.4993 Å and the angles 90.00°, 90.00° and 90.00°. The distinct sites, in fractional coordinates, are Y at (0.0000, 0.0000, 0.0000), Y at (0.2500, 0.2500, 0.5000), Pa at (0.0000, 0.5000, 0.0000), N at (0.0000, 0.2601, 0.0000) and N at (0.2404, 0.5000, 0.5000).

#Q
DFT (GGA-PBE) results for a relaxed Y3PaN4 crystal.

The structure belongs to space group I4/mmm (No. 139); the cell edges are 4.9254, 4.9254 and 9.8294 Å and the angles 90.00°, 90.00° and 90.00°. The distinct sites, in fractional coordinates, are Y at (0.0000, 0.0000, 0.0000), Y at (0.0000, 0.5000, 0.2500), Pa at (0.0000, 0.0000, 0.5000), N at (0.0000, 0.0000, 0.2648) and N at (0.0000, 0.5000, 0.0000).

In kJ/mol of atoms, relative to the most stable structure: #P 0.9; #Q 0.0.

#P
DFT (GGA-PBE) results for a relaxed ZrPa2N4 crystal.

The structure belongs to space group C2/m (No. 12); the cell edges are 11.2487, 3.4343 and 6.0947 Å and the angles 90.00°, 118.30° and 90.00°. The distinct sites, in fractional coordinates, are Zr at (0.0000, 0.0000, 0.0000), Pa at (0.1953, 0.5000, 0.6980), N at (0.1287, 0.0000, 0.4236) and N at (0.1503, 0.5000, 0.0293).

#Q
DFT (GGA-PBE) results for a relaxed ZrPa2N4 crystal.

The structure belongs to space group I4/mmm (No. 139); the cell edges are 5.6884, 5.6884 and 5.8205 Å and the angles 90.00°, 90.00° and 90.00°. The distinct sites, in fractional coordinates, are Zr at (0.0000, 0.0000, 0.0000), Pa at (0.0000, 0.5000, 0.0000) and N at (0.2500, 0.2500, 0.2500).

In kJ/mol of atoms, relative to the most stable structure: #P 0.0; #Q 60.5.

#P
DFT (GGA-PBE) results for a relaxed Zr3PaN4 crystal.

The structure belongs to space group P2/c (No. 13); the cell edges are 5.7846, 6.6308 and 5.7691 Å and the angles 90.00°, 109.24° and 90.00°. The distinct sites, in fractional coordinates, are Zr at (0.0000, 0.1205, 0.2500), Zr at (0.0000, 0.3704, 0.7500), Zr at (0.5000, 0.1217, 0.7500), Pa at (0.5000, 0.3721, 0.2500), N at (0.2419, 0.3712, 0.4982) and N at (0.2469, 0.1238, 0.9990).

#Q
DFT (GGA-PBE) results for a relaxed Zr3PaN4 crystal.

The structure belongs to space group Pmmn (No. 59, origin choice 2); the cell edges are 4.6970, 7.7625 and 6.7108 Å and the angles 90.00°, 90.00° and 90.00°. The distinct sites, in fractional coordinates, are Zr at (0.2500, 0.0021, 0.1644), Zr at (0.2500, 0.7500, 0.6854), Pa at (0.2500, 0.2500, 0.6531), N at (0.2500, 0.0041, 0.8387), N at (0.2500, 0.2500, 0.3126) and N at (0.2500, 0.7500, 0.3401).

In kJ/mol of atoms, relative to the most stable structure: #P 0.0; #Q 17.9.

#P
DFT (GGA-PBE) results for a relaxed PbN crystal.

The structure belongs to space group P4_2/mnm (No. 136); the cell edges are 6.7836, 6.7836 and 3.7605 Å and the angles 90.00°, 90.00° and 90.00°. The distinct sites, in fractional coordinates, are Pb at (0.1763, 0.1763, 0.0000) and N at (0.1773, 0.8227, 0.0000).

#Q
DFT (GGA-PBE) results for a relaxed PbN crystal.

The structure belongs to space group P4/m (No. 83); the cell edges are 10.5480, 10.5480 and 3.7388 Å and the angles 90.00°, 90.00° and 90.00°. The distinct sites, in fractional coordinates, are Pb at (0.0823, 0.2599, 0.0000), Pb at (0.1637, 0.6104, 0.5000), N at (0.0621, 0.3743, 0.5000) and N at (0.1303, 0.7561, 0.0000).

In kJ/mol of atoms, relative to the most stable structure: #P 0.0; #Q 1.2.

#P
DFT (GGA-PBE) results for a relaxed PbN crystal.

The structure belongs to space group I4mm (No. 107); the cell edges are 3.5112, 3.5112 and 5.5488 Å and the angles 90.00°, 90.00° and 90.00°. The distinct sites, in fractional coordinates, are Pb at (0.0000, 0.0000, 0.0000) and N at (0.0000, 0.0000, 0.5674).

#Q
DFT (GGA-PBE) results for a relaxed PbN crystal.
********
-- Activity --
Your job: print the whole of the listing above word for word.
-- Outcome --
#P
DFT (GGA-PBE) results for a relaxed Y3PaN4 crystal.

The structure belongs to space group Cmmm (No. 65); the cell edges are 6.9687, 9.8070 and 3.4993 Å and the angles 90.00°, 90.00° and 90.00°. The distinct sites, in fractional coordinates, are Y at (0.0000, 0.0000, 0.0000), Y at (0.2500, 0.2500, 0.5000), Pa at (0.0000, 0.5000, 0.0000), N at (0.0000, 0.2601, 0.0000) and N at (0.2404, 0.5000, 0.5000).

#Q
DFT (GGA-PBE) results for a relaxed Y3PaN4 crystal.

The structure belongs to space group I4/mmm (No. 139); the cell edges are 4.9254, 4.9254 and 9.8294 Å and the angles 90.00°, 90.00° and 90.00°. The distinct sites, in fractional coordinates, are Y at (0.0000, 0.0000, 0.0000), Y at (0.0000, 0.5000, 0.2500), Pa at (0.0000, 0.0000, 0.5000), N at (0.0000, 0.0000, 0.2648) and N at (0.0000, 0.5000, 0.0000).

In kJ/mol of atoms, relative to the most stable structure: #P 0.9; #Q 0.0.

#P
DFT (GGA-PBE) results for a relaxed ZrPa2N4 crystal.

The structure belongs to space group C2/m (No. 12); the cell edges are 11.2487, 3.4343 and 6.0947 Å and the angles 90.00°, 118.30° and 90.00°. The distinct sites, in fractional coordinates, are Zr at (0.0000, 0.0000, 0.0000), Pa at (0.1953, 0.5000, 0.6980), N at (0.1287, 0.0000, 0.4236) and N at (0.1503, 0.5000, 0.0293).

#Q
DFT (GGA-PBE) results for a relaxed ZrPa2N4 crystal.

The structure belongs to space group I4/mmm (No. 139); the cell edges are 5.6884, 5.6884 and 5.8205 Å and the angles 90.00°, 90.00° and 90.00°. The distinct sites, in fractional coordinates, are Zr at (0.0000, 0.0000, 0.0000), Pa at (0.0000, 0.5000, 0.0000) and N at (0.2500, 0.2500, 0.2500).

In kJ/mol of atoms, relative to the most stable structure: #P 0.0; #Q 60.5.

#P
DFT (GGA-PBE) results for a relaxed Zr3PaN4 crystal.

The structure belongs to space group P2/c (No. 13); the cell edges are 5.7846, 6.6308 and 5.7691 Å and the angles 90.00°, 109.24° and 90.00°. The distinct sites, in fractional coordinates, are Zr at (0.0000, 0.1205, 0.2500), Zr at (0.0000, 0.3704, 0.7500), Zr at (0.5000, 0.1217, 0.7500), Pa at (0.5000, 0.3721, 0.2500), N at (0.2419, 0.3712, 0.4982) and N at (0.2469, 0.1238, 0.9990).

#Q
DFT (GGA-PBE) results for a relaxed Zr3PaN4 crystal.

The structure belongs to space group Pmmn (No. 59, origin choice 2); the cell edges are 4.6970, 7.7625 and 6.7108 Å and the angles 90.00°, 90.00° and 90.00°. The distinct sites, in fractional coordinates, are Zr at (0.2500, 0.0021, 0.1644), Zr at (0.2500, 0.7500, 0.6854), Pa at (0.2500, 0.2500, 0.6531), N at (0.2500, 0.0041, 0.8387), N at (0.2500, 0.2500, 0.3126) and N at (0.2500, 0.7500, 0.3401).

In kJ/mol of atoms, relative to the most stable structure: #P 0.0; #Q 17.9.

#P
DFT (GGA-PBE) results for a relaxed PbN crystal.

The structure belongs to space group P4_2/mnm (No. 136); the cell edges are 6.7836, 6.7836 and 3.7605 Å and the angles 90.00°, 90.00° and 90.00°. The distinct sites, in fractional coordinates, are Pb at (0.1763, 0.1763, 0.0000) and N at (0.1773, 0.8227, 0.0000).

#Q
DFT (GGA-PBE) results for a relaxed PbN crystal.

The structure belongs to space group P4/m (No. 83); the cell edges are 10.5480, 10.5480 and 3.7388 Å and the angles 90.00°, 90.00° and 90.00°. The distinct sites, in fractional coordinates, are Pb at (0.0823, 0.2599, 0.0000), Pb at (0.1637, 0.6104, 0.5000), N at (0.0621, 0.3743, 0.5000) and N at (0.1303, 0.7561, 0.0000).

In kJ/mol of atoms, relative to the most stable structure: #P 0.0; #Q 1.2.

#P
DFT (GGA-PBE) results for a relaxed PbN crystal.

The structure belongs to space group I4mm (No. 107); the cell edges are 3.5112, 3.5112 and 5.5488 Å and the angles 90.00°, 90.00° and 90.00°. The distinct sites, in fractional coordinates, are Pb at (0.0000, 0.0000, 0.0000) and N at (0.0000, 0.0000, 0.5674).

#Q
DFT (GGA-PBE) results for a relaxed PbN crystal.